== Excerpt ==
/*
(1)
Y2Ho2Er2Tm: relaxed, PBE.

CIF file:
```
data_Y2Ho2Er2Tm
_chemical_formula_sum 'Y2 Ho2 Er2 Tm1'
_cell_length_a 8.7099
_cell_length_b 8.7099
_cell_length_c 8.7099
_cell_angle_alpha 37.67
_cell_angle_beta 37.67
_cell_angle_gamma 37.67
_symmetry_space_group_name_H-M 'P 1'
_symmetry_Int_Tables_number 1
loop_
_symmetry_equiv_pos_as_xyz
'x,y,z'
loop_
_atom_site_label
_atom_site_type_symbol
_atom_site_fract_x
_atom_site_fract_y
_atom_site_fract_z
Y1 Y 0.1422 0.1422 0.1422
Y2 Y 0.8578 0.8578 0.8578
Ho1 Ho 0.4278 0.4278 0.4278
Ho2 Ho 0.5722 0.5722 0.5722
Er1 Er 0.2863 0.2863 0.2863
Er2 Er 0.7137 0.7137 0.7137
Tm1 Tm 0.0000 0.0000 0.0000
```

- energy of formation from the pure elements (eV per atom) = 0.14
- final energy (eV/cell) = -34.70
- D(E_F) (states/eV per cell) = 18.0
- space group = R-3m


(2)
Ca2AcNd: relaxed, PBE.

CIF file:
```
data_Ca2AcNd
_chemical_formula_sum 'Ca2 Ac1 Nd1'
_cell_length_a 12.8348
_cell_length_b 12.8348
_cell_length_c 12.8348
_cell_angle_alpha 17.18
_cell_angle_beta 17.18
_cell_angle_gamma 17.18
_symmetry_space_group_name_H-M 'P 1'
_symmetry_Int_Tables_number 1
loop_
_symmetry_equiv_pos_as_xyz
'x,y,z'
loop_
_atom_site_label
_atom_site_type_symbol
_atom_site_fract_x
_atom_site_fract_y
_atom_site_fract_z
Ca1 Ca 0.0000 0.0000 0.0000
Ca2 Ca 0.1613 0.1613 0.1613
Ac1 Ac 0.5805 0.5805 0.5805
Nd1 Nd 0.4142 0.4142 0.4142
```

- energy of formation from the pure elements (eV per atom) = 0.07
- final energy (eV/cell) = -12.60
- D(E_F) (states/eV per cell) = 6.4
- energy relative to the lowest polymorph listed for this composition (kJ/mol of atoms) = 4.5
- space group = R3m


(3)
Na2IrO3: relaxed, PBE.

CIF file:
```
data_Na2IrO3
_chemical_formula_sum 'Na4 Ir2 O6'
_cell_length_a 6.0798
_cell_length_b 6.0798
_cell_length_c 6.0798
_cell_angle_alpha 51.81
_cell_angle_beta 51.81
_cell_angle_gamma 51.81
_symmetry_space_group_name_H-M 'P 1'
_symmetry_Int_Tables_number 1
loop_
_symmetry_equiv_pos_as_xyz
'x,y,z'
loop_
_atom_site_label
_atom_site_type_symbol
_atom_site_fract_x
_atom_site_fract_y
_atom_site_fract_z
Na1 Na 0.1778 0.1778 0.1778
Na2 Na 0.3222 0.3222 0.3222
Na3 Na 0.6778 0.6778 0.6778
Na4 Na 0.8222 0.8222 0.8222
Ir1 Ir 0.0000 0.0000 0.0000
Ir2 Ir 0.5000 0.5000 0.5000
O1 O 0.1309 0.7500 0.3691
O2 O 0.2500 0.6309 0.8691
O3 O 0.3691 0.1309 0.7500
O4 O 0.6309 0.8691 0.2500
O5 O 0.7500 0.3691 0.1309
O6 O 0.8691 0.2500 0.6309
```

- ΔE_f (raw) (kJ/mol of atoms) = -92
- final energy (eV/cell) = -64.21
- D(E_F) (states/eV per cell) = 8.0
- energy relative to the lowest polymorph listed for this composition (kJ/mol of atoms) = 22.8
- space group = R-3c


(4)
YI2O2: relaxed, PBE.

CIF file:
```
data_YI2O2
_chemical_formula_sum 'Y1 I2 O2'
_cell_length_a 4.7966
_cell_length_b 4.7966
_cell_length_c 4.4716
_cell_angle_alpha 90.00
_cell_angle_beta 90.00
_cell_angle_gamma 90.00
_symmetry_space_group_name_H-M 'P 1'
_symmetry_Int_Tables_number 1
loop_
_symmetry_equiv_pos_as_xyz
'x,y,z'
loop_
_atom_site_label
_atom_site_type_symbol
_atom_site_fract_x
_atom_site_fract_y
_atom_site_fract_z
Y1 Y 0.0000 0.0000 0.0000
I1 I 0.0000 0.5000 0.5000
I2 I 0.5000 0.0000 0.5000
O1 O 0.5000 0.5000 0.0000
O2 O 0.5000 0.5000 0.5000
```

- ΔE_f (raw) (kJ/mol of atoms) = -3
- final energy (eV/cell) = -19.65
- D(E_F) (states/eV per cell) = 2.6
- energy relative to the lowest polymorph listed for this composition (kJ/mol of atoms) = 98.2
- space group = P4/mmm


(5)
Cd2SiCl: relaxed, PBE.

CIF file:
```
data_Cd2SiCl
_chemical_formula_sum 'Cd2 Si1 Cl1'
_cell_length_a 3.3744
_cell_length_b 4.7275
_cell_length_c 5.5307
_cell_angle_alpha 90.00
_cell_angle_beta 90.00
_cell_angle_gamma 90.00
_symmetry_space_group_name_H-M 'P 1'
_symmetry_Int_Tables_number 1
loop_
_symmetry_equiv_pos_as_xyz
'x,y,z'
loop_
_atom_site_label
_atom_site_type_symbol
_atom_site_fract_x
_atom_site_fract_y
_atom_site_fract_z
Cd1 Cd 0.0000 0.0000 0.0000
Cd2 Cd 0.5000 0.5000 0.5000
Si1 Si 0.0000 0.0000 0.5000
Cl1 Cl 0.5000 0.5000 0.0000
```

- ΔE_f (raw) (kJ/mol of atoms) = -6
*/

== Work order ==
Now echo everything earlier on unchanged.

== Solution ==
(1)
Y2Ho2Er2Tm: relaxed, PBE.

CIF file:
```
data_Y2Ho2Er2Tm
_chemical_formula_sum 'Y2 Ho2 Er2 Tm1'
_cell_length_a 8.7099
_cell_length_b 8.7099
_cell_length_c 8.7099
_cell_angle_alpha 37.67
_cell_angle_beta 37.67
_cell_angle_gamma 37.67
_symmetry_space_group_name_H-M 'P 1'
_symmetry_Int_Tables_number 1
loop_
_symmetry_equiv_pos_as_xyz
'x,y,z'
loop_
_atom_site_label
_atom_site_type_symbol
_atom_site_fract_x
_atom_site_fract_y
_atom_site_fract_z
Y1 Y 0.1422 0.1422 0.1422
Y2 Y 0.8578 0.8578 0.8578
Ho1 Ho 0.4278 0.4278 0.4278
Ho2 Ho 0.5722 0.5722 0.5722
Er1 Er 0.2863 0.2863 0.2863
Er2 Er 0.7137 0.7137 0.7137
Tm1 Tm 0.0000 0.0000 0.0000
```

- energy of formation from the pure elements (eV per atom) = 0.14
- final energy (eV/cell) = -34.70
- D(E_F) (states/eV per cell) = 18.0
- space group = R-3m


(2)
Ca2AcNd: relaxed, PBE.

CIF file:
```
data_Ca2AcNd
_chemical_formula_sum 'Ca2 Ac1 Nd1'
_cell_length_a 12.8348
_cell_length_b 12.8348
_cell_length_c 12.8348
_cell_angle_alpha 17.18
_cell_angle_beta 17.18
_cell_angle_gamma 17.18
_symmetry_space_group_name_H-M 'P 1'
_symmetry_Int_Tables_number 1
loop_
_symmetry_equiv_pos_as_xyz
'x,y,z'
loop_
_atom_site_label
_atom_site_type_symbol
_atom_site_fract_x
_atom_site_fract_y
_atom_site_fract_z
Ca1 Ca 0.0000 0.0000 0.0000
Ca2 Ca 0.1613 0.1613 0.1613
Ac1 Ac 0.5805 0.5805 0.5805
Nd1 Nd 0.4142 0.4142 0.4142
```

- energy of formation from the pure elements (eV per atom) = 0.07
- final energy (eV/cell) = -12.60
- D(E_F) (states/eV per cell) = 6.4
- energy relative to the lowest polymorph listed for this composition (kJ/mol of atoms) = 4.5
- space group = R3m


(3)
Na2IrO3: relaxed, PBE.

CIF file:
```
data_Na2IrO3
_chemical_formula_sum 'Na4 Ir2 O6'
_cell_length_a 6.0798
_cell_length_b 6.0798
_cell_length_c 6.0798
_cell_angle_alpha 51.81
_cell_angle_beta 51.81
_cell_angle_gamma 51.81
_symmetry_space_group_name_H-M 'P 1'
_symmetry_Int_Tables_number 1
loop_
_symmetry_equiv_pos_as_xyz
'x,y,z'
loop_
_atom_site_label
_atom_site_type_symbol
_atom_site_fract_x
_atom_site_fract_y
_atom_site_fract_z
Na1 Na 0.1778 0.1778 0.1778
Na2 Na 0.3222 0.3222 0.3222
Na3 Na 0.6778 0.6778 0.6778
Na4 Na 0.8222 0.8222 0.8222
Ir1 Ir 0.0000 0.0000 0.0000
Ir2 Ir 0.5000 0.5000 0.5000
O1 O 0.1309 0.7500 0.3691
O2 O 0.2500 0.6309 0.8691
O3 O 0.3691 0.1309 0.7500
O4 O 0.6309 0.8691 0.2500
O5 O 0.7500 0.3691 0.1309
O6 O 0.8691 0.2500 0.6309
```

- ΔE_f (raw) (kJ/mol of atoms) = -92
- final energy (eV/cell) = -64.21
- D(E_F) (states/eV per cell) = 8.0
- energy relative to the lowest polymorph listed for this composition (kJ/mol of atoms) = 22.8
- space group = R-3c


(4)
YI2O2: relaxed, PBE.

CIF file:
```
data_YI2O2
_chemical_formula_sum 'Y1 I2 O2'
_cell_length_a 4.7966
_cell_length_b 4.7966
_cell_length_c 4.4716
_cell_angle_alpha 90.00
_cell_angle_beta 90.00
_cell_angle_gamma 90.00
_symmetry_space_group_name_H-M 'P 1'
_symmetry_Int_Tables_number 1
loop_
_symmetry_equiv_pos_as_xyz
'x,y,z'
loop_
_atom_site_label
_atom_site_type_symbol
_atom_site_fract_x
_atom_site_fract_y
_atom_site_fract_z
Y1 Y 0.0000 0.0000 0.0000
I1 I 0.0000 0.5000 0.5000
I2 I 0.5000 0.0000 0.5000
O1 O 0.5000 0.5000 0.0000
O2 O 0.5000 0.5000 0.5000
```

- ΔE_f (raw) (kJ/mol of atoms) = -3
- final energy (eV/cell) = -19.65
- D(E_F) (states/eV per cell) = 2.6
- energy relative to the lowest polymorph listed for this composition (kJ/mol of atoms) = 98.2
- space group = P4/mmm


(5)
Cd2SiCl: relaxed, PBE.

CIF file:
```
data_Cd2SiCl
_chemical_formula_sum 'Cd2 Si1 Cl1'
_cell_length_a 3.3744
_cell_length_b 4.7275
_cell_length_c 5.5307
_cell_angle_alpha 90.00
_cell_angle_beta 90.00
_cell_angle_gamma 90.00
_symmetry_space_group_name_H-M 'P 1'
_symmetry_Int_Tables_number 1
loop_
_symmetry_equiv_pos_as_xyz
'x,y,z'
loop_
_atom_site_label
_atom_site_type_symbol
_atom_site_fract_x
_atom_site_fract_y
_atom_site_fract_z
Cd1 Cd 0.0000 0.0000 0.0000
Cd2 Cd 0.5000 0.5000 0.5000
Si1 Si 0.0000 0.0000 0.5000
Cl1 Cl 0.5000 0.5000 0.0000
```

- ΔE_f (raw) (kJ/mol of atoms) = -6